Monday, 22 April 2013

The Virgin London Marathon

Me, just before leaving
Hello blog lovers.

This is the blog that have I have been waiting to write up for months now. It is finally here! So, grab a coffee, turn your phone off, put the closed sign up and chill for a few minutes. After months of training, in freezing weather, having to put off some days training when the weather had been just too awful to go out in. And then having the back injury two weeks before the marathon, I am pleased that I am now writing this blog. This run is dedicated to my mum and dad. I can't believe cancer claimed both my parents. My beautiful mum. She would be very proud of me.

After a not totally restful sleep I got up feeling very excited. I showered and headed to the kitchen to grab some porridge.  then back up stairs to get into my running gear. Everything pinned into place, my race number, 3215, my black ribbon and a picture of mum on the back. I checked again how secure the tag was on my shoe and then sat and waited for the off.

The Old Boy was driving me there. He tried to get as close as possible so that he could walk some way with me, but he had to leave me just outside Blackheath station.  I wasn't going to get lost or go the wrong way, as there were hundreds of people heading to the Blue Start.  I was chatting to one lady as we walked up, she said that she had tried several times to get a place in the VLM but without success.  I was beginning to realise how fortunate I was.  I said good by to her and then took this picture as I made my way to the runners enclosure. The organisation was superb! Everything was signposted, you knew where to take your kit bags, it was just perfect.

== Between two parts of the text: calculated crystals ==
~~~
VASP calculation (GGA-PBE) on a relaxed CePu2Pa crystal.

Cell: 3.955 3.955 7.909 Å, 75.52 75.52 60.00°
Fractional positions:
1 Ce 0.680 0.680 0.961
2 Pu 0.073 0.073 0.782
3 Pu 0.238 0.238 0.285
4 Pa 0.509 0.509 0.472


VASP calculation (GGA-PBE) on a relaxed CePuPa6 crystal.

Cell: 5.797 5.797 6.862 Å, 72.43 72.43 86.58°
Fractional positions:
1 Ce 0.500 0.500 0.500
2 Pu 0.000 0.000 0.000
3 Pa 0.122 0.669 0.276
4 Pa 0.669 0.122 0.276
5 Pa 0.331 0.878 0.724
6 Pa 0.878 0.331 0.724
7 Pa 0.280 0.280 0.039
8 Pa 0.720 0.720 0.961
~~~

Blue Start Up Ahead.

The butterflies started in my belly, I was glad I arrived early so that I could find the loos.  I saw a queue of ladies and joined in, only paying attention to part of the sign! As the queue got smaller I noticed the ladies grabbing a cardboard .... erm....chute (although I didn't quite realise what it was for) I presumed it had loo roll in, or maybe wipes. How wrong was I!  I got to the 'peeing' area and there were urinals, thats right urinals and the cardboard chute thing was for you to stand and pee! I wish I could have been that posh bohemian woman, but I am not. I like my comfort, and I like my privacy (although on bike rides I have been know to use a private though!  Still it was an eye opener, and maybe something I should 'practice' with. If all ladies carry something like that in the handbags on a night out then we too can use the erm, public facilities! Next time, remember to note, Ladies Urinals are exactly that!

Ladies, will know what this is!

I me up with a couple of other PWR's before we went to our start zones, they were in the zone 6, I was in zone 9. I stood chatting with them, and then said goodbye as they went to their zone and I went to mine.  As I was walking along I heard my name being called, it was Spider! He had spotted me heading for my zone.  A quick chat with him and then I continued to my zone. Apparently Mo Farah is also somewhere in the Blue Start, but I am guessing he is probably in zone 1, (and he is also only doing half!)  The atmosphere is extraordinary, everyone is excited. Although our thoughts are with those in Boston, not one person mentioned the terrorists. They had no part in our run today, they had instilled no fear in us.  The crowds went silent at the sound of a whistle. Thirty seconds before the start of the race, there was hush as we remember the those killed and injured only last week.

A few moments later the mass moved forward...then stopped! Then moved forward once more, slowly at first, slowly walking to the start. It seemed ages before we eventually stood on the mats that says 'Your race starts now'  You couldn't ask for a more perfect day. The sky was clear, the sun was shining, the crowds were happy and cheering.  It all seemed so surreal that somewhere on a t.v. screen people are watching all this go on. I saw a camera and just waved at it. Maybe my daughter Jenna will see me in Australia!

The first mile went by in a daze, "Go on Donna you can do it, only 25 more miles to do" was the fav chant for that section, but it was all said in a good humoured way, and I am sure they are all in wonderment of it all, I know I am!

I kept up a steady pace, and took in water. The weather was brilliant for spectators, but not having really trained in hot weather, I am using the advice from everyone to keep sipping at water. The Old Boy even made sure I had water in my kit bag that he told me to sip until race time! So it was no surprise to me then that I needed to use the loo. Being an Old Girl, I thought it best to use the first loos I see!

I saw a sign saying loos this way at around mile 5, I slowed down to see where they were. I looked over to my right and saw some chaps facing the billboards, I then saw a lady run over and squat next to them! Well, I'm sure VLM would have provided better loos than that, so I carried on running, and hoping, to find the next loos! Which I did, by the way, at mile 7.  Also at mile 5 was the Lucozade fuel stop, I grabbed a bottle of this to get some sugar into me. I don't have the Old Boy with me now supply me with chocolate! I tried to spot some people I knew in these first 5 miles, but the weather has bought out everybody to cheer us all on, and it was just impossible to spot people.  I was hoping that I was going to be able to spot my family and fellow PWR's on route. But at least I would know roughly were they will be.

The next 5 miles I kept up a steady pace, not the pace that I had trained to do, I think the weather is really affecting me and so I was slower.  Although the sun does put a smile on every ones faces, to run or workout in the heat is something else!  There is water every mile, I grabbed a bottle of water and kept it with me as I jogged along.  Again something that I have not been training with, although I did have a go with Spiders 'Hydration' system  on a couple of training runs, with the bottles on the hips, which I didn't like anyway.  But I soon got used to having the bottle in my hand.  I didn't take a bottle at each station, it was a very warm day, and there are going to be a lot of warm thirsty people about.

When I came running around the corner and saw the Cutty Sark, I just smiled! What a lovely ship she is!  The last time I saw her, (well apart from last Wednesday when I went to the expo) she was in bits, some of the bits were at Chattam Dock Yard.  It's such a shame she has now been shrouded in glass because before hand she looked magnificent. 

I kept running through Deptford and into Surry Quays, when I was young it was know as Surry Docks! But I suppose Quays sound a bit posher! That is where I got my first phone call. It was the Old Boy asking where abouts I was. I told him I was just entering Surry Quays. He then said he will see me at Tower Bridge.  I was looking forward to seeing someone I know, even though all the way round, so far, I had a smile on my face. Well who wouldn't when thousands of people are calling after you 'Go Donna, you can do it!"  The crowds really do spur you on.

The next five miles are where I should start to see people I know, unless some of them have gone to the next cheering spot. I am still jogging along, but not as fast as I wanted to. Maybe I should have trained in a sauna wearing a shell suit!  I was very glad of the water stops (every mile), and of the Lucozade fuel stops (every 5 miles). I was getting slower, but I was taking dextrose to try and give me extra energy. But what with the warm wheather they seemed really dry and very hard to eat, I only ate a few of them.

Getting to the 12 mile marker was exciting, because I knew that I will be seeing Tower Bridge, and hopefully family members and PWR's. And I wasn't disappointed. There at mile 12 were the PettsWood Support Crew! There was a massive cheer from my right. I turned around to see where it was coming from, it took at few seconds to focus my eyes on the faces in the crowds! I saw Singstar Jo and Illustrious Leader! There were others, but my eyes would just not focus in time! I really wanted to go over and have a hug, but I had only just got myself jogging along again.

Me at mile 12

 When I turned the corner and saw the bridge, I just smiled! It looked beautiful. I have been to the bridge numerous times, but today the sight of it took my breath away. It had taken me 2 hours and 43 minutes to get here, with still a bit more to do to get to the the half way stage. I won't be getting a PB for a half marathon time! The cheering from the crowds was ongoing. I felt like an athlete! I had to check up the road to make sure that it's not Mo they were cheering, but that it was me 'Donna! Donna!"

There was I, me, The Old Girl, Donna, running over Tower Bridge, running in the most famous ionic marathons in the world, and I was feeling every bit proud! So what if its not the fastest marathon in the world, it's my marathon, I'm pacing at my own pace. Mo Farrow will have stopped along here somewhere! He is a DNF. When I got to the other side of the bridge, we turned right. I could see the faster runners running on the other side of the road. I was in total awe of them, they only have to run another few miles and they are home and dry! Yet here I was just finishing the first half, and feeling very achy!  I then heard my name from across the other side of the road, where the faster runners are. I looked over and there I saw Naggy Neighbour! "Go on Donna, you can do it, you have done so well" I felt totally lifted by tha.  I was still looking out for my family, I know they are on their way, but maybe they missed me or I missed them. It's that difficult to spot people!

The next couple of miles I was feeling a little warm, I plodded along as best as I could. At mile fifteen the lucozade fuel station was handing out gels. I thought I would grab one of these. I thought it would be ok as the lucozade drink had been ok so far.  I found it difficult to rip open the packet as I had greasy hands from the vasoline I used to stop the chaffing on my arms.  I ripped it open with my teeth, I must have looked like I was really hungry as I greedily tore open the packet! The flavour and the texture of this gel seemed at lot more agreeable to me. It wasn't as nasty as some of the other gooy stuff I had tried.

- - -
(1)
12
Lattice="-1.259 -2.350 3.496 2.603 0.007 0.942 -2.616 12.031 7.147" Properties=species:S:1:pos:R:3 comment="PBE ZnTcOs, optimized geometry" space_group="Amm2 (38)" ef_ev_per_atom=0.07 polymorph_energy_mev_per_atom=40.3 final_energy_ev_per_cell=-90.6 m_tot_mub_per_fu=0.00 pbc="T T T"
Zn -2.615 7.959 7.174
Zn -0.006 1.946 4.071
Zn -0.535 2.462 1.462
Zn -0.542 8.481 5.507
Os -1.748 3.967 4.803
Os -1.754 9.986 8.847
Os -2.288 10.523 6.250
Os 0.322 4.510 3.148
Tc -0.861 -0.112 2.380
Tc -0.867 5.907 6.424
Tc -1.393 6.406 3.805
Tc 1.217 0.393 0.703


(2)
5
Lattice="-1.878 0.583 -6.115 -0.833 -6.359 -0.351 -6.086 0.691 1.935" Properties=species:S:1:pos:R:3 comment="PBE Ba3YB, optimized geometry" space_group="Pm-3m (221)" ef_ev_per_atom=1.56 polymorph_energy_mev_per_atom=929.9 final_energy_ev_per_cell=-11.1 m_tot_mub_per_fu=0.00 pbc="T T T"
Y 0.000 0.000 0.000
B -4.399 -2.543 -2.265
Ba -0.417 -3.180 -0.175
Ba -3.043 0.345 0.968
Ba -0.939 0.292 -3.057


(3)
5
Lattice="-0.510 -0.464 4.873 4.887 -0.332 0.480 0.283 4.889 0.495" Properties=species:S:1:pos:R:3 comment="PBE NaCr3C, optimized geometry" space_group="Pm-3m (221)" ef_ev_per_atom=3.06 polymorph_energy_mev_per_atom=2334.5 final_energy_ev_per_cell=-24.1 m_tot_mub_per_fu=12.98 pbc="T T T"
Cr 2.444 -0.166 0.240
Cr 0.142 2.444 0.248
Cr -0.255 -0.232 2.437
C 2.330 2.046 2.924
Na 0.000 0.000 0.000


(4)
11
Lattice="5.779 0.363 0.310 1.294 8.265 -0.280 1.294 1.004 8.208" Properties=species:S:1:pos:R:3 comment="PBE Pr2Dy8Sc, optimized geometry" space_group="C2/m (12)" ef_ev_per_atom=0.43 polymorph_energy_mev_per_atom=393.8 final_energy_ev_per_cell=-48.0 m_tot_mub_per_fu=0.00 pbc="T T T"
Pr 3.214 1.487 1.272
Pr 5.153 8.145 6.966
Dy 5.841 2.178 5.598
Dy 2.527 3.764 6.955
Dy 5.853 2.836 2.426
Dy 2.515 6.796 5.812
Dy 5.841 5.868 1.284
Dy 2.527 7.454 2.640
Dy 2.735 4.038 3.454
Dy 5.633 5.594 4.784
Sc 0.000 0.000 0.000


(5)
4
Lattice="-1.473 -1.711 3.174 5.021 -0.356 2.138 -0.649 4.900 2.341" Properties=species:S:1:pos:R:3 comment="PBE PmEuCd2, optimized geometry" space_group="P4/mmm (123)" ef_ev_per_atom=-0.34 final_energy_ev_per_cell=-18.2 m_tot_mub_per_fu=7.23 pbc="T T T"
Eu 1.449 1.416 3.826
Cd -0.325 2.450 1.170
Cd 2.510 -0.178 1.069
Pm -0.736 -0.856 1.587


(6)
4
Lattice="3.678 0.000 0.000 1.839 3.185 0.000 1.839 1.062 10.463" Properties=species:S:1:pos:R:3 comment="PBE TbZrI2, optimized geometry" space_group="R-3m (166)" final_energy_ev_per_cell=-17.7 m_tot_mub_per_fu=0.00 pbc="T T T"
I 1.839 1.062 7.318
I 5.516 3.185 3.146
Tb 0.000 0.000 0.000
Zr 3.678 2.123 5.232


(7)
5
Lattice="5.972 0.000 0.000 0.000 4.997 0.000 0.000 0.000 5.972" Properties=species:S:1:pos:R:3 comment="PBE BaLa2CuSb, optimized geometry" space_group="P4/mmm (123)" final_energy_ev_per_cell=-16.1 m_tot_mub_per_fu=0.15 pbc="T T T"
Sb 2.986 2.499 2.986
Ba 0.000 0.000 0.000
Cu 0.000 2.499 0.000
La 0.000 0.000 2.986
La 2.986 0.000 0.000


(8)
4
- - -

But I was needing the loo again.  I saw the sign say 'Toilets here' and joined the throng of people. Not only were the runners using these but there were plenty of people with plastic cups of beer in the queue! I was talking to a young girl as we stood waiting, but then all of a sudden I felt very unwell indeed. I became all light headed, and I felt as if I was about to pass out. My stomach cramped up and I wanted to throw up! I had to leave my place in the queue and go and sit on the kerb with my head down.  After running this far, this particular Old Girl found that  very difficult to do! Getting down there was not a very ladylike manoeuvre at all. It was all ass up, hands down for support! Not a pretty sight!

The mashalls came over and asked if I was ok, I mumbled that I would be fine, but I just needed to sit for a while and get my head clear.  Eventually the dizziness went and the nausea passed. I felt I just needed to get going and try not to let it affect me. Just then I had a call from my family. My daughter rang me, she then passed it around to the rest of them. I told them about my little moment. And my brother told me to stop, and not to continue. I assured them all that I was going to be fine.There is one thing that I don't want, and that is to go home without my medal! The loo stop will have to wait until the next time. If I have to pee the I am going to have to try the whole bohemian thing again, but without my 'pee-mate'

The next few miles was very tough going. I'm afraid I cried! For just a split second doubt crept into my head. Have I really over reached my mark! Is this an impossible dream for me? Just for one second, I thought that. Then I remembered why I am doing this in the first place. The answers are No! This not the end of the run for this Old Girl! I am going to finish, even if I am the last person to finish. And the medal, well that would be good, but finishing has now become my aim!

At some point before the 20 mile mark, I can't quite remember where, a lad of about 9 and his little sister was offering out jelly babies, I was walking along "Come on you, you should be running." I said "I will soon"
"What if we run with you, will that help you"
"I will in a minute" I replied
"Come on, you can do it, we will run with you"
And with that they started to run along. How could I not run next to him, the pair of them just melted my heart and gave me a little boost, more that any gooy gel or sports drink could ever do. A chap walking along next to me laughed sweetly at them. "Don't run to far from your mum with me, " I said to them, and they said "No, we shall leave you now, you going to be ok now" Again my heart melted.

The last five miles! Can you believe that I have made it to 20 miles! It was touch and go, and it still is! My tummy is cramping up something awful now! The sun is making a glorious day, and my shoulders are soaking up every sun ray. I chuckled to myself as I looked around at everyone. My thoughts were "What does a British person do when the sun comes out? Why, they get their kit off and soak up the rays!" I don't think anyone running today thought about suncream, or maybe that is just me!  Typical Brits, come back from a day out frazzled and lobster looking! 

At some point along here I spotted someone I knew! It was Julia and her husband Snail (Brian) with the family, Jonathan, James and Brians mum Helen, who is a totally inspiring lady. She runs the park runs, and she cycles her bike, up and down hills, she is 75 years old and has hip operations! She has run several marathons, and inspired her son to run  marathons. And he had to enter another one, because he couldn't  his first effort, he couldn't beat his mums fastest marathon! Of course on seeing them, the tears just wouldn't stop falling from my eyes! It was just so good to see them. I gave them a hug. And walked on. "Keep those arms going" Helen said. I waved goodbye to them.

I was heading for another tunnel, and I noticed people up on the top of the bridge and I decided to wave. Just then I heard my name called out again. "Donna, hey Donna!" I focused my eyes and I say my friends Pat and Paul! Paul is the pastor of my church, and they did just what they said they would do and came along after the service to cheer me on! I waved and smiled as I saw them and then they disappeared from view as I went under the tunnel.  I came out and looked back, but I couldn't see them. I'm not sure how the road system works up top, if they could have gone over to the other side. Still it was good to see them. But they I heard them as they came along side. "I'm catching up" Pat said. And I stopped for a quick chat and hug.

With renewed spirit I power walked towards my final few miles. Passing the mile 22 marker I was wondering when I would see my family. I welled up again as I thought about mum and dad. How I had been with them in their final days. Both were still fighting to the very end. Dad was over the moon that the operation he had had seemed to have worked. The 're-wiring' of his tummy and tubes meant that a tiny bit of food he had eaten finally had made it out at the right end. Mum insisting that her internet not be turned off. The pain they both had been suffering was nothing to what I am feeling right now, and mine will be gone with in a couple of days. Tears came rolling down my face. But I held back the sobs.

I managed to pull myself together. I power walked my way towards the next marker. Just before i got to the 23rd mark I heard my little brother "Don, Don" I saw him,  he had is arms opened wide. I ran towards them. He was sobbing and I was sobbing as he hugged me "I'm so so proud of you, so proud"  is all he could say. I saw the lady standing next to my family, she was wiping a tear from her eyes too.  I looked down the line and I saw my family and Karin (Naggy) was there as well, 18 of them! All cheering me, I was in tears as I hugged and kissed each one  "See you at Admiralty Arch" The Old Boy said.

Here is a couple of pictures they took.

With my heart bursting and a wet, teary face I JOGGED onwards to the final 3 miles. Just before I got to the marker I looked at my right hand side as a particular loud roar got my attention. The PWR crew were still there! Mrs Hippo was leaning over the fence, I saw Jogging Hippo waving. I was still jogging, I was still smiling from seeing my family, I so wanted to stop and hug them, but I thought I wouldn't be able to jog again if I stopped right there and then. I waved at them, I was just so happy that they was still there!

This picture was taken by Ray aka Jogging Hippo! I think he captured the moment very well at mile 23!

The last mile marker. I could see it. I had gone back to a power walk again. I tried to pick it up, I tried to jog the last mile. I just couldn't do. I told myself off! "Just do it Old Girl" I said. But my body was refusing to do any more than just power walk. I heard the chimes of Big Ben. "Is that clock showing 4  or 5 o'clock" I just couldn't fathom it, maybe it was even 6, I just couldn't get it. Running down Great Goodge was just amazing. The whole crowd seem to be chanting my name! I picked up my pace again and jogged along, the crowd cheered even louder! Is this really happening? I was amazed that there were still this amount of people waiting to cheer on the marathoners! It was just the most amazing situation ever, I was overwhelmed, and I'm afriaid more tears!

My family moved me, my friends moved me, the crowds moved me and the bands, marshals, St Johns brigade, all moved me to tears.I was blown away.  The 800 meters board showed. Ahead of me I could a donkey. I remember someone telling me not to be overtaken my teddy bear, or mole, or anyone in a suit.  That had happened. But now I have a race on my hands. I am going to over take the donkey. He had overtaken me a couple of miles back, but now I am going for it. I urged myself to get going. I cried again because I wasn't going fast enough, but this time I didn't hold back the sobs, every step was tears and sobbing. "Don't worry, you're nearly there, keep going" a concerned runner said. 400 meters the donkey just a head of me now, I can do this! I can over take the donkey. 

I did it! I over took him. But now to get to the finish. I looked a head I couldn't see it. It turns to the right! I went through some more mats, I made sure I was running on them, I wanted my chip to register. I can see the end now, running towards the end. The men and ladies in their yellow jackets at the end of the tunnel with the the medals! I can see the time, it was reading 7 hours and something. Have I really been that long. I can see the mats, the mat that will record my time for the final time. I stopped. Just before I stepped on the mats. I looked up at the clock, I looked at my Garmin, I couldn't see the seconds ticking away on my watch as the 'low battery' was covering it. I looked up at the clock again, "How long had I stopped so far. This last minute is for Boston. I want to give the people who had died, and had been injured my last minute of my first marathon. God bless you and keep you.

My medal, A very proud Old Girl!

My geeky stats. (oh and by the way, Mo Farrow, I heard, didn't even complete the half!)


  1. Fantastic blog Donna. Very Inspirational!

  2. You did it!!! Well done Moosh!!!

  3. What a great post Donna, very emotional and funny. I really enjoyed it, thanks!

    1. glad you enjoyed it Duncan, thanks :-)
